Assignment =
Your job: echo the part of the calculation results underneath that starts with the line with "3.05-3.08" and stops after the one with "ΔE_f: -616".

Input =
No. 1
## KIrAu (PBE-GGA)

Data for a relaxed KIrAu crystal.

Unit cell a=2.8650 b=2.8650 c=8.1397 alpha=90.00 beta=90.00 gamma=120.00
With the nearest neighbours (Å) after each atom.
Space group P3m1 (No. 156)
One atom of each set of equivalent atoms:
K: 0.0000 0.0000 0.0000 (multiplicity 1)  6 K 2.87
Ir: 0.3333 0.6667 0.6612 (multiplicity 1)  6 Ir 2.87, 3 Au 2.98
Au: 0.6667 0.3333 0.3560 (multiplicity 1)  6 Au 2.87, 3 Ir 2.98

Properties
- Energy above the lowest structure with this stoichiometry: 48.5 kJ per mole of atoms
- ΔE_f: 609 meV/atom



No. 2
## WC3I (PBE-GGA)

Data for a relaxed WC3I crystal.

Unit cell a=4.0239 b=4.0239 c=4.0239 alpha=90.00 beta=90.00 gamma=90.00
With the nearest neighbours (Å) after each atom.
Space group Pm-3m (No. 221)
One atom of each set of equivalent atoms:
W: 0.0000 0.0000 0.0000 (multiplicity 1)  12 C 2.85
C: 0.0000 0.5000 0.5000 (multiplicity 3)  2 I 2.01
I: 0.5000 0.5000 0.5000 (multiplicity 1)  6 C 2.01

Properties
- Energy above the lowest structure with this stoichiometry: 145.1 kJ per mole of atoms
- Formation energy without anion corrections: 18.3 eV/f.u.



No. 3
## DyScZn6 (PBE-GGA)

Data for a relaxed DyScZn6 crystal.

Unit cell a=4.2574 b=5.7384 c=5.8776 alpha=90.00 beta=90.00 gamma=90.00
With the nearest neighbours (Å) after each atom.
Space group Pmm2 (No. 25)
One atom of each set of equivalent atoms:
Dy: 0.0000 0.0000 0.0000 (multiplicity 1)  10 Zn 2.99-3.09
Sc: 0.5000 0.5000 0.1966 (multiplicity 1)  10 Zn 2.93-3.04
Zn: 0.0000 0.2599 0.4611 (multiplicity 2)  6 Zn 2.66-2.76, 2 Sc 2.97
Zn: 0.0000 0.5000 0.8539 (multiplicity 1)  6 Zn 2.63-2.69, 2 Sc 2.93
Zn: 0.5000 0.0000 0.3651 (multiplicity 1)  6 Zn 2.64-2.66
Zn: 0.5000 0.2612 0.7342 (multiplicity 2)  6 Zn 2.63-2.74

Properties
- ΔE_f: -294 meV/atom



No. 4
## Na2HfTiO (PBE-GGA)

Data for a relaxed Na2HfTiO crystal.

Unit cell a=5.9966 b=5.9966 c=3.6091 alpha=90.00 beta=90.00 gamma=90.00
With the nearest neighbours (Å) after each atom.
Space group P4/mmm (No. 123)
One atom of each set of equivalent atoms:
Na: 0.0000 0.5000 0.0000 (multiplicity 2)  2 Ti 3.00
Hf: 0.0000 0.0000 0.5000 (multiplicity 1)  8 Na 3.50, 2 Hf 3.61
Ti: 0.5000 0.5000 0.0000 (multiplicity 1)  2 O 1.80
O: 0.5000 0.5000 0.5000 (multiplicity 1)  2 Ti 1.80

Properties
- Formation energy without anion corrections: 1.0 eV/f.u.



No. 5
## Li3CeSm2Te6 (PBE-GGA)

Data for a relaxed Li3CeSm2Te6 crystal.

Unit cell a=7.6839 b=13.3108 c=7.5255 alpha=90.00 beta=109.87 gamma=90.00
With the nearest neighbours (Å) after each atom.
Space group C2/m (No. 12)
One atom of each set of equivalent atoms:
Li: 0.0000 0.0000 0.0000 (multiplicity 2)  6 Te 3.05-3.08
Li: 0.0000 0.3319 0.0000 (multiplicity 4)  6 Te 3.04-3.09
Ce: 0.0000 0.5000 0.5000 (multiplicity 2)  6 Te 3.18
Sm: 0.0000 0.1665 0.5000 (multiplicity 4)  6 Te 3.15
Te: 0.2451 0.1682 0.2394 (multiplicity 8)  3 Li 3.04-3.08, 2 Sm 3.15, 1 Ce 3.18
Te: 0.2494 0.5000 0.2390 (multiplicity 4)  3 Li 3.05-3.09, 2 Sm 3.15, 1 Ce 3.18

Properties
- Formation energy without anion corrections: -15.3 eV/f.u.



No. 6
## Dy3PdPb2 (PBE-GGA)

Data for a relaxed Dy3PdPb2 crystal.

Unit cell a=12.3062 b=4.5665 c=11.6505 alpha=90.00 beta=90.00 gamma=90.00
With the nearest neighbours (Å) after each atom.
Space group Pnma (No. 62)
One atom of each set of equivalent atoms:
Dy: 0.0535 0.2500 0.1318 (multiplicity 4)  1 Pd 2.95, 5 Pb 3.15-3.31
Dy: 0.1260 0.7500 0.5547 (multiplicity 4)  3 Pd 3.10-3.17, 5 Pb 3.16-3.34, 1 Dy 3.43
Dy: 0.2369 0.2500 0.7982 (multiplicity 4)  2 Pd 3.00, 2 Pb 3.13-3.29
Pd: 0.1229 0.2500 0.3745 (multiplicity 4)  3 Pb 2.84-2.87, 6 Dy 2.95-3.17
Pb: 0.0037 0.2500 0.6909 (multiplicity 4)  2 Pd 2.87, 5 Dy 3.13-3.16
Pb: 0.1820 0.7500 0.0049 (multiplicity 4)  1 Pd 2.84, 2 Dy 3.15

Properties
- ΔE_f: -616 meV/atom



No. 7
## PmTi2FeN4 (PBE-GGA)

Data for a relaxed PmTi2FeN4 crystal.

Unit cell a=3.1410 b=10.7012 c=10.5339 alpha=90.00 beta=90.00 gamma=90.00
With the nearest neighbours (Å) after each atom.
Space group Cmcm (No. 63)

Response =
Li: 0.0000 0.0000 0.0000 (multiplicity 2)  6 Te 3.05-3.08
Li: 0.0000 0.3319 0.0000 (multiplicity 4)  6 Te 3.04-3.09
Ce: 0.0000 0.5000 0.5000 (multiplicity 2)  6 Te 3.18
Sm: 0.0000 0.1665 0.5000 (multiplicity 4)  6 Te 3.15
Te: 0.2451 0.1682 0.2394 (multiplicity 8)  3 Li 3.04-3.08, 2 Sm 3.15, 1 Ce 3.18
Te: 0.2494 0.5000 0.2390 (multiplicity 4)  3 Li 3.05-3.09, 2 Sm 3.15, 1 Ce 3.18

Properties
- Formation energy without anion corrections: -15.3 eV/f.u.



No. 6
## Dy3PdPb2 (PBE-GGA)

Data for a relaxed Dy3PdPb2 crystal.

Unit cell a=12.3062 b=4.5665 c=11.6505 alpha=90.00 beta=90.00 gamma=90.00
With the nearest neighbours (Å) after each atom.
Space group Pnma (No. 62)
One atom of each set of equivalent atoms:
Dy: 0.0535 0.2500 0.1318 (multiplicity 4)  1 Pd 2.95, 5 Pb 3.15-3.31
Dy: 0.1260 0.7500 0.5547 (multiplicity 4)  3 Pd 3.10-3.17, 5 Pb 3.16-3.34, 1 Dy 3.43
Dy: 0.2369 0.2500 0.7982 (multiplicity 4)  2 Pd 3.00, 2 Pb 3.13-3.29
Pd: 0.1229 0.2500 0.3745 (multiplicity 4)  3 Pb 2.84-2.87, 6 Dy 2.95-3.17
Pb: 0.0037 0.2500 0.6909 (multiplicity 4)  2 Pd 2.87, 5 Dy 3.13-3.16
Pb: 0.1820 0.7500 0.0049 (multiplicity 4)  1 Pd 2.84, 2 Dy 3.15

Properties
- ΔE_f: -616 meV/atom